Boundaries and Boundary Violations in Psychoanalysis

Full Title: Boundaries and Boundary Violations in Psychoanalysis
Author / Editor: Glen O. Gabbard and Eva P. Lester
Publisher: American Psychiatric Publishing, 2002
Review © Metapsychology Vol. 7, No. 45
Reviewer: Marilyn Graves, Ph.D.
This is a book that would primarily
be read by mental health professionals. It has been used as a text in
classes and it is a clearly written, excellent resource. The authors are
well known in their field and have extensive experience in dealing with
these issues.
and Lester are talking about boundary violations in therapy from a dynamic and
treatment oriented perspective. Thus, the focus is on internal representations,
transference and countertransference rather than
specifics of ethical codes or laws. They
look at both nonsexual and sexual boundary violations.
The authors begin with an
explanation of how mental representations of self and others are
developed and how people experience psychological boundaries. When a
patient begins psychoanalytic therapy, a set of parameters of treatment are
instituted: the analytic frame. The authors say, "The analytic
frame is an envelope within which the treatment itself takes place." (p.
39) and "the analytic frame creates an atmosphere if safety."
(p. 41). Within this frame patients are then safe to explore thoughts
and feelings from the past. They establish a
transference to the therapist. The authors talk about the responsibility the
analyst has in the professional role: that it is not to gratify libidinal
needs but to help the patient make sense of the past and to preserve the
analytic space so that the treatment can continue.
This book contains an extensive
chapter on the history or the analytic movement and how an understanding of
transference and countertransference developed over
time. It also contains some unfortunate examples of boundary violations on
the part of some early and well known analysts. The authors appear to feel
the need to provide historical context as "blind spots in one analytic
generation may well become blind spots in the next." (p.
In the chapter on sexual boundary
violations Gabbard and Lester say "although
discussions of sexual boundary transgressions generally imply that
interpersonal boundaries are being crossed, earlier in the progression down the
‘slippery slope,’ inner boundaries between self and object representation are
eroded." (p. 88). They look at how this progression can
develop. In looking at extensive case studies they suggest there are four
Someone pasted records of crystals at this point
Record 1
# PmNd2B9
Theoretical powder X-ray diffraction pattern, CuKα. Input: the GGA-PBE geometry in Alexandria.
Intensities are scaled so that the largest is 100.

Main lines, sorted by position (10 to 90 degrees two-theta):
index, 2θ (°), d_spacing, I/Imax
1 0 1, 23.11, 3.849, 100
0 1 2, 23.71, 3.753, 23
0 0 9, 27.32, 3.265, 24
1 0 7, 31.39, 2.850, 37
0 1 8, 33.59, 2.668, 72
1 0 10, 38.42, 2.343, 24
1 1 0, 40.24, 2.241, 46
0 2 1, 46.91, 1.937, 20
1 1 9, 49.32, 1.848, 41
1 2 8, 68.91, 1.363, 17

a b c (Å): 4.4826 4.4826 29.3844
angles (deg): 90.00 90.00 120.00
Space group R-3m (No. 166, hexagonal axes)
Asymmetric unit:
Pm1 0.0000 0.0000 0.0000 x3
Nd1 0.0000 0.0000 0.1173 x6
B1 0.0000 0.0000 0.3982 x6
B2 0.0000 0.0000 0.5000 x3
B3 0.0914 0.5457 0.9389 x18


Record 2
# PrNdB12
Theoretical powder X-ray diffraction pattern, CuKα. Input: the GGA-PBE geometry in Alexandria.
Intensities are scaled so that the largest is 100.

Main lines, sorted by position (10 to 90 degrees two-theta):
index, 2θ (°), d_spacing, I/Imax
2 0 0, 21.46, 4.141, 65
2 2 0, 30.53, 2.928, 100
2 2 2, 37.62, 2.391, 42
4 0 0, 43.72, 2.070, 21
4 2 0, 49.20, 1.852, 50
4 2 2, 54.26, 1.691, 27
4 4 2, 67.91, 1.380, 28
6 2 0, 72.13, 1.309, 20
6 2 2, 76.26, 1.249, 13
6 4 2, 88.31, 1.107, 18

a b c (Å): 8.282 8.282 8.282
angles (deg): 90.00 90.00 90.00
Space group Fm-3m (No. 225)
Asymmetric unit:
Pr1 0.000 0.000 0.000 x4
Nd1 0.000 0.000 0.500 x4
B1 0.100 0.250 0.250 x48


Record 3
# Pr2Nd2BRh4
Theoretical powder X-ray diffraction pattern, CuKα. Input: the GGA-PBE geometry in Alexandria.
Intensities are scaled so that the largest is 100.

Main lines, sorted by position (10 to 90 degrees two-theta):
index, 2θ (°), d_spacing, I/Imax
2 1 1, 31.46, 2.844, 10
2 0 2, 34.23, 2.620, 100
1 0 3, 35.14, 2.554, 16
2 2 0, 37.57, 2.394, 46
3 0 1, 41.47, 2.178, 9
0 0 4, 43.76, 2.068, 9
4 0 0, 54.18, 1.693, 14
2 2 4, 59.02, 1.565, 12
3 2 3, 59.56, 1.552, 13
4 2 2, 65.67, 1.422, 23

a b c (Å): 6.771 6.771 8.272
angles (deg): 90.00 90.00 90.00
Space group I4/mmm (No. 139)
Asymmetric unit:
Pr1 0.000 0.500 0.250 x4
Nd1 0.000 0.000 0.187 x4
B1 0.000 0.000 0.500 x2
Rh1 0.220 0.220 0.500 x8


Record 4
# NdBPt4
Theoretical powder X-ray diffraction pattern, CuKα. Input: the GGA-PBE geometry in Alexandria.
Intensities are scaled so that the largest is 100.

Main lines, sorted by position (10 to 90 degrees two-theta):
index, 2θ (°), d_spacing, I/Imax
1 0 0, 18.61, 4.768, 30
1 0 2, 29.79, 2.999, 35
1 1 1, 34.60, 2.593, 36
0 0 3, 34.89, 2.572, 43
2 0 0, 37.74, 2.384, 93
2 0 1, 39.57, 2.278, 32
1 1 2, 40.25, 2.241, 100
2 0 2, 44.69, 2.028, 52
2 2 0, 68.13, 1.376, 37
2 0 5, 73.04, 1.295, 33

a b c (Å): 5.5053 5.5053 7.7154
angles (deg): 90.00 90.00 120.00
Space group P6/mmm (No. 191)
Asymmetric unit:
Nd1 0.0000 0.0000 0.0000 x1
Nd2 0.0000 0.0000 0.5000 x1
B1 0.3333 0.6667 0.0000 x2
Pt1 0.0000 0.5000 0.1988 x6
Pt2 0.3333 0.6667 0.5000 x2


Record 5
# Nd3B2Pt9
The article goes on
categories of therapists who have sex with patients. The first, psychotic
disorders, is rare and more likely to be a therapist in a manic phase of
bipolar disorder. A group they call "predatory psychopathy
and paraphilias" (p. 92) they see as possibly
incapable of rehabilitation. The majority of the therapists who have sex with
patients they categorize as lovesick. These therapists mistake the
transference love of the patient for real love and believe they feel real love
for the patient while being unable to see the harmful effects of their
actions on the patient. The last group of therapist they categorize
as engaging in a masochistic surrender to the patient. They list
some commonalities of the therapists in boundary violation
cases: narcissistic issues, grandiosity, sadomasochistic core issues,
tendency toward action over reflection, thick inner boundaries, superego
disturbance, and perception of the patient as having a deficit which requires
enactment. They also discuss the idea that these therapists overvalue
love and concretely expect it to heal the patient rather than insight or
analytic work.
In the chapter on nonsexual
boundary violations the authors discuss things like receiving or giving
inappropriate gifts. They talk about role of projective identification
in confusing boundaries and about countertransference
enactments. There is an extensive case analysis. They also discuss
instances where the therapist acts inappropriately and concretely in a
mothering role.
It is rare to see discussions of post-termination
issues and this book has a chapter on boundaries and post-termination. Looking
at follow-up studies, the authors suggest that the transference continues as a
latent structure after the termination of therapy and
that a significant number of patients may ask for consultation of their former analysts
after termination. They suggest there may be value in former therapists
maintaining sufficient distance to allow the patient to resume therapy if
needed. This is more difficult where the patient is a mental health
professional and may well subsequently work or supervise at the same workplace
as their former analyst. Gabbard and Lester
suggest that allowing hope of gratifying the patient’s wish for a relationship
after the analysis is done may make a full working through of grief and loss
issues impossible.
There are chapters on boundaries in
supervision and a look at the history of institutions responses to the boundary
While this book is written about
psychoanalysis, it is applicable to psychodynamically-oriented
psychotherapy and may be useful to therapists of other orientations as
well. All in all, this book is highly recommended for all
clinicians practicing psychotherapy.
© 2003 Marilyn Graves
Marilyn Graves, Ph. D. is a clinical psychologist and topic editor of
Psychology and Fiction at
Categories: Ethics, Psychotherapy, Psychoanalysis